Moshe makes his case! In this parsha we see Moshe deliver the most critical aspects of his message–the foundational Ten Commandments are given once more and one of the oldest prayers in the world, the Shema, is said for the first time. And yet, as great as these events are, Moshe must also deal with crushing disappointment as Abba YHWH confirms–in no uncertain terms–that Moshe will in fact die today and never enter the Promised Land! With impending doom on the one hand and the seeds for final rebellion and disaster on the other, Moshe’s hopes turn to the one man who might secure Israel’s future: Joshua. And so a nation of 2 million stand on the brink…waiting.
Moshe makes his case! In this parsha we see Moshe deliver the most critical aspects of his message–the foundational Ten Commandments are given once more and one of the oldest prayers in the world, the Shema, is said for the first time. And yet, as great as these events are, Moshe must also deal with crushing disappointment as Abba YHWH confirms–in no uncertain terms–that Moshe will in fact die today and never enter the Promised Land! With impending doom on the one hand and the seeds for final rebellion and disaster on the other, Moshe’s hopes turn to the one man who might secure Israel’s future: Joshua. And so a nation of 2 million stand on the brink…waiting.
Ever wanted to know what Moshe did on the last day of his life? The answer is he gave three farewell speeches before climbing up to Mount Nebo to die, and except for a 3 chapter “recap” at the start and Joshua writing about his funeral at the end, everything in between is all Moshe on the last day of his life! This is the most urgent plea the man ever gave because if Israel literally does not get the message here, they will never get another chance to hear it from the man himself. Deuteronomy is permeating with the sense of high intensity urgency, and it all starts here, in the Devarim Torah parsha, where he pours out his soul to a new generation on the fateful last day, 1 Shevat/January 6, 1406 BCE. Don’t miss a moment!
The final two portions of Numbers–the Matot and Masei Double Portion–finally brings an end to a generation of wandering and an age of darkness and doubt. Now at long last a new generation of Israel has arise who, along with Joshua and Caleb, will enter the Land even as Moshe prepares to die. After the recap of all of their 42 stops is given, the remaining attention in the book of Numbers is on the final disposition of the case of the daughter of Zelophehad and the elevation of Joshua.
<<<
1.
ScTlMo2O8 | PBE with a Hubbard U | optimized geometry

Lattice parameters (Å, degrees): 5.9019 5.9019 7.6519 90.00 90.00 120.00
Element x y z (fractional)
O: 0.1651 0.3302 0.8354
O: 0.8349 0.1651 0.1646
O: 0.3333 0.6667 0.5324
O: 0.3302 0.1651 0.1646
O: 0.6667 0.3333 0.4676
O: 0.8349 0.6698 0.1646
O: 0.6698 0.8349 0.8354
O: 0.1651 0.8349 0.8354
Mo: 0.3333 0.6667 0.7612
Mo: 0.6667 0.3333 0.2388
Tl: 0.0000 0.0000 0.5000
Sc: 0.0000 0.0000 0.0000

=====

2.
ScTlMo2O8 | PBE with a Hubbard U | optimized geometry

Lattice parameters (Å, degrees): 5.9154 9.0340 15.3293 90.00 90.00 90.00
Element x y z (fractional)
O: 0.2500 0.1036 0.6799
O: 0.9951 0.6067 0.2994
O: 0.9968 0.2715 0.0256
O: 0.0049 0.1067 0.2006
O: 0.7500 0.2986 0.8623
O: 0.7500 0.4872 0.4501
O: 0.2500 0.5128 0.5499
O: 0.4968 0.7285 0.9744
O: 0.5032 0.2715 0.0256
O: 0.9951 0.8933 0.7994
O: 0.7500 0.6374 0.6361
O: 0.7500 0.6036 0.8201
O: 0.4968 0.7715 0.4744
O: 0.5049 0.6067 0.2994
O: 0.5049 0.8933 0.7994
O: 0.9968 0.2285 0.5256
O: 0.2500 0.1374 0.8639
O: 0.4951 0.1067 0.2006
O: 0.0032 0.7715 0.4744
O: 0.7500 0.8964 0.3201
O: 0.7500 0.0128 0.9501
O: 0.2500 0.3964 0.1799
O: 0.4951 0.3933 0.7006
O: 0.2500 0.7986 0.6377
O: 0.0032 0.7285 0.9744
O: 0.0049 0.3933 0.7006
O: 0.2500 0.3626 0.3639
O: 0.2500 0.7014 0.1377
O: 0.5032 0.2285 0.5256
O: 0.2500 0.9872 0.0499
O: 0.7500 0.2014 0.3623
O: 0.7500 0.8626 0.1361
Sc: 0.2500 0.3066 0.6130
Sc: 0.7500 0.6934 0.3870
Sc: 0.7500 0.8066 0.8870
Sc: 0.2500 0.1934 0.1130
Tl: 0.2500 0.4386 0.8744
Tl: 0.7500 0.9386 0.6256
Tl: 0.2500 0.0614 0.3744
Tl: 0.7500 0.5614 0.1256
Mo: 0.7500 0.2901 0.4641
Mo: 0.2500 0.0022 0.7827
Mo: 0.7500 0.9978 0.2173
Mo: 0.2500 0.7099 0.5359
Mo: 0.7500 0.2099 0.9641
Mo: 0.7500 0.5022 0.7173
Mo: 0.2500 0.4978 0.2827
Mo: 0.2500 0.7901 0.0359

=====

Referenced to the most stable arrangement, the calculated values in eV/atom are 1 0.000; 2 0.011.
>>>
There is one man who saves more Israelites in a day than almost all other heroes combined, and no, it isn’t Moshe, but his grand-nephew Phinehas. With one bold act, Phinehas stops a deadly plague that surely would have devastated the rest of Israel. We also look at why the priesthood initially passed this young man by, only to have it established on him and his offspring. And Phinehas also appears to make a show of things at the end of the book of Judges about 300 years later…or does he? This is an action packed parsha not to be missed with bonus features! Enjoy!